## Wanted
The reader should filter the listing underneath: keep the lines with the word "molecules".

## Source
'''
No. 1
Below is 6 unconnected molecules or ions with the total composition C7H22O6 at a distorted geometry, with properties calculated with the ωB97M-V functional and the def2-TZVPD basis.

The LUMO energy is 0.0095 Eh. For the HOMO-LUMO gap, the calculation gives 0.3285 Eh. The calculation puts the relative energy (zero: lowest compared OMol25 entry of this formula, charge and spin) at 86.13 kJ/mol. The calculation puts the HOMO energy at -8.681 eV. The SMILES is CC/C=C/C=C(/C)O.O.O.O.O.O. The calculation puts the max |F| at 1.4 eV Å⁻¹.

Geometry (Å):
H -1.544 -2.039 3.488
H 0.582 1.049 -1.438
C -0.730 -2.260 0.957
H -0.893 -3.185 1.501
H 2.875 2.433 -1.192
H -3.200 0.463 0.283
H -3.808 1.738 0.919
H -0.950 2.289 0.591
O -1.259 0.087 1.038
H 1.413 -0.411 -2.976
C 2.253 -1.075 -2.785
H -2.727 -0.721 2.912
H 2.829 1.372 1.328
H -0.734 0.338 0.254
H 2.857 -2.792 -1.600
C -1.705 -1.090 2.975
C 1.178 -1.933 -0.630
C 1.954 -2.252 -1.888
H -0.215 -0.247 -1.465
C -0.039 -2.400 -0.331
H 1.535 2.159 1.033
C -1.126 -1.164 1.586
H 1.519 -1.080 -0.055
H -0.431 -3.159 -1.017
H -1.275 3.450 -0.411
H 2.679 -1.348 -3.741
O -0.825 3.227 0.404
O -4.016 0.882 0.574
O 1.933 2.416 -1.367
H 3.005 -0.413 -2.359
H -1.078 -0.351 3.474
O -0.328 0.707 -1.397
H 1.677 3.336 -1.328
H 1.353 -2.996 -2.394
O 2.404 2.230 1.423



No. 2
Below is a molecular structure, C3H4I2, with properties calculated with the ωB97M-V functional and the def2-TZVPD basis.

The LUMO energy (alpha / beta) is -0.0393 / -0.0146 Eh. For the HOMO-LUMO gap (alpha / beta), the calculation gives 0.3117 / 0.2758 Eh. The calculation puts the relative energy (zero: lowest compared OMol25 entry of this formula, charge and spin) at 355.00 kJ/mol. The calculation puts the HOMO energy (alpha / beta) at -9.550 / -7.902 eV. The calculation puts the max |F| at 0.6 eV Å⁻¹.

Geometry (Å):
C 1.310 -0.409 -0.989
H -1.666 0.828 0.123
H 0.546 1.506 -0.536
C 0.286 0.453 -0.556
I 3.062 0.390 -1.783
H -1.273 -0.944 -0.160
C -0.951 0.084 -0.176
I 0.961 -2.431 -1.393
H 2.304 -1.109 1.319



No. 3
Below is a molecular structure, C23H41BrErP2 at a distorted geometry, with properties calculated with the ωB97M-V functional and the def2-TZVPD basis.

As for the spin multiplicity: 4. The expectation value of S² is 3.754. The charge is +1. The LUMO energy (alpha / beta) is -0.0817 / -0.0813 Eh. For the HOMO-LUMO gap (alpha / beta), the calculation gives 0.2636 / 0.2637 Eh. The calculation puts the relative energy (zero: lowest compared OMol25 entry of this formula, charge and spin) at 0.00 kJ/mol. The calculation puts the HOMO energy (alpha / beta) at -9.397 / -9.387 eV. The calculation puts the max |F| at 2.7 eV Å⁻¹.

Geometry (Å):
H 1.068 -0.618 -0.475
C -1.316 -3.653 -0.390
H 3.698 -0.379 -1.514
C -0.311 -3.489 -1.588
C 2.236 1.191 -1.612
C 4.232 2.019 -0.150
H 0.585 -0.365 1.220
H -3.878 0.983 0.818
H -4.351 -3.237 1.705
H 1.993 -1.970 1.496
C -0.022 1.127 -2.918
C 1.795 -3.192 -0.221
H 2.427 4.578 0.917
H 4.650 1.022 -0.325
C -1.002 -1.132 -0.166
H -0.704 -2.824 3.545
C 2.931 2.178 -0.836
P -2.310 -1.955 1.908
Br 2.171 1.429 2.857
C -3.086 1.073 0.061
H -0.238 1.756 -3.796
H 3.584 4.896 -0.385
H -3.074 2.100 -0.338
C 1.144 -3.702 -1.277
H -2.299 2.544 2.177
H -1.127 -0.796 -1.200
H -2.261 -3.695 3.511
H 0.300 0.135 -3.270
H -0.848 4.173 -1.078
C 0.956 3.121 -1.590
C 2.822 -0.083 -2.104
H 2.852 -3.415 -0.044
H -2.791 0.232 2.797
H -1.088 -0.230 3.053
C 0.992 1.762 -2.039
H 0.316 5.106 -2.028
C 1.183 -2.335 0.841
C -1.274 2.452 1.782
H 0.500 -2.900 1.500
H -3.254 0.370 -0.764
C -1.895 -2.315 0.146
H -1.068 3.318 1.116
C 2.154 3.382 -0.847
C -1.485 -3.232 2.886
C 0.460 -1.066 0.337
H 4.126 2.135 0.941
H -1.067 -4.019 2.245
H 3.141 0.005 -3.158
H -0.471 -2.535 -2.109
H -4.712 -1.488 1.881
P -1.482 0.744 0.824
H 2.099 -0.907 -2.065
H 4.948 2.777 -0.499
H -2.863 -2.168 -0.361
H -0.846 -4.283 0.384
H 1.892 5.470 -0.520
H -0.656 3.817 -2.800
H -4.227 -2.477 3.301
C -1.920 -0.248 2.324
H -0.586 -4.247 -2.345
'''

## Written answer
Below is 6 unconnected molecules or ions with the total composition C7H22O6 at a distorted geometry, with properties calculated with the ωB97M-V functional and the def2-TZVPD basis.